Please search the notes underneath for the word "Se" and type out each line that has it.

-- begin --
No. 1
LiTbCd6 (PBE, relaxed); energy above the most stable polymorph in this dataset = 3 meV/atom; calculated formation energy = -208 meV per atom
1.0
-2.270 -3.722 1.485
1.561 -2.393 -3.612
6.807 -2.354 4.502
Cd Tb Li
6 1 1
Direct
0.500 0.000 0.734
0.500 0.500 0.000
0.500 0.500 0.500
0.500 0.000 0.266
0.000 0.500 0.266
0.000 0.500 0.734
0.000 0.000 0.000
0.000 0.000 0.500

=====

No. 2
LaTlSeS (PBE, relaxed); raw formation energy = -5.86 eV/f.u.
1.0
4.335 -0.001 -0.001
-2.167 3.755 0.000
-2.168 -1.251 7.713
Tl Se La S
1 1 1 1
Direct
0.967 0.382 0.364
0.495 0.146 0.656
0.312 0.554 0.881
0.103 0.949 0.068

=====

No. 3
Li4AcPd (PBE, relaxed); calculated formation energy = -92 meV per atom
1.0
-3.291 4.443 -0.036
-5.264 -0.471 -1.623
-4.084 0.445 3.700
Pd Li Ac
1 4 1
Direct
0.000 0.000 0.000
0.629 0.629 0.629
0.629 0.114 0.629
0.629 0.629 0.114
0.114 0.629 0.629
0.250 0.250 0.250

=====

No. 4
YMnAlS4 (PBE, relaxed); raw formation energy = -8.54 eV/f.u.
1.0
7.502 0.000 0.000
3.751 6.516 0.066
3.751 2.048 6.186
S Al Y Mn
8 2 2 2
Direct
0.261 0.246 0.746
0.254 0.754 0.254
0.746 0.246 0.746
0.744 0.247 0.266
0.256 0.234 0.253
0.256 0.753 0.734
0.744 0.766 0.747
0.739 0.754 0.254
0.370 0.380 0.880
0.630 0.620 0.120
0.000 0.000 0.000
0.000 0.500 0.500
0.500 0.000 0.500
0.000 0.000 0.500

=====

No. 5
LaMgCo2 (PBE, relaxed); calculated formation energy = 119 meV per atom
1.0
3.122 0.000 0.000
0.000 3.122 0.000
0.000 0.000 7.702
Mg Co La
1 2 1
Direct
0.500 0.500 0.826
0.000 0.000 0.046
0.500 0.500 0.177
0.000 0.000 0.452

=====

No. 6
Pr3Ga (PBE, relaxed); energy above the most stable polymorph in this dataset = 5 meV/atom; calculated formation energy = -252 meV per atom
1.0
3.770 0.000 0.000
-1.885 6.464 0.000
0.000 0.000 10.237
Pr Ga
6 2
Direct
0.138 0.277 0.541
0.862 0.723 0.459
0.446 0.891 0.750
0.554 0.109 0.250
0.862 0.723 0.041
0.138 0.277 0.959
0.749 0.498 0.750
0.251 0.502 0.250

=====

No. 7
HoPu3Tl12 (PBE, relaxed); calculated formation energy = -68 meV per atom
1.0
-4.609 -1.045 -0.714
0.720 -4.383 1.767
-4.174 6.404 17.588
Ho Tl Pu
1 12 3
Direct
0.000 0.000 0.000
0.000 0.500 0.626
0.500 0.000 0.374
0.000 0.500 0.374
0.500 0.500 0.000
0.500 0.000 0.626
0.500 0.500 0.750
0.500 0.000 0.876
0.000 0.500 0.876
0.500 0.000 0.124
0.500 0.500 0.250
0.000 0.500 0.124
0.500 0.500 0.500
0.000 0.000 0.753
0.000 0.000 0.500
0.000 0.000 0.247

=====

No. 8
Th2Pa2C3 (PBE, relaxed); calculated formation energy = -295 meV per atom
1.0
-2.282 -2.542 -1.282
0.489 -3.168 5.412
-3.598 5.000 1.682
Pa C Th
2 3 2
Direct
0.871 0.638 0.741
0.129 0.362 0.259
0.000 0.000 0.000
0.259 0.724 0.518
0.741 0.276 0.482
0.376 0.133 0.753
0.624 0.867 0.247

=====

No. 9
Ce3PtRh (PBE, relaxed); energy above the most stable polymorph in this dataset = 69 meV/atom; calculated formation energy = -641 meV per atom
1.0
4.442 -0.012 0.002
-2.203 7.035 -1.030
-0.014 -4.375 8.266
Pt Rh Ce
2 2 6
Direct
0.336 0.672 0.659
0.664 0.328 0.341
0.168 0.337 0.873
0.832 0.663 0.127
0.419 0.835 0.047
0.581 0.165 0.953
0.071 0.142 0.439
0.294 0.589 0.298
0.706 0.411 0.702
0.929 0.858 0.561

=====

No. 10
Li8SbO3 (PBE, relaxed); raw formation energy = -13.18 eV/f.u.
1.0
-2.429 4.553 0.989
-3.424 -0.989 -3.861
-3.160 -2.430 3.424
Li Sb O
8 1 3
Direct
0.726 0.274 0.726
0.274 0.274 0.274
0.726 0.274 0.274
0.726 0.726 0.726
0.274 0.274 0.726
0.726 0.726 0.274
0.274 0.726 0.274
0.274 0.726 0.726
0.000 0.000 0.000
0.500 0.500 0.000
0.500 0.000 0.500
0.000 0.500 0.500

=====

No. 11
NbSiMo (PBE, relaxed); raw formation energy = -0.80 eV/f.u.
1.0
-2.283 1.318 2.005
-2.377 -1.626 -1.637
2.761 -3.174 2.495
Mo Nb Si
1 1 1
Direct
0.942 0.942 0.885
0.617 0.617 0.235
0.290 0.290 0.580

=====

No. 12
BaSiIr2Br (PBE, relaxed); raw formation energy = 6.08 eV/f.u.
1.0
-1.778 -4.314 0.894
4.586 -1.186 3.399
-2.333 1.739 3.755
Br Ir Si Ba
1 2 1 1
Direct
0.000 0.000 0.000
0.500 0.000 0.000
0.000 0.000 0.500
0.500 0.500 0.500
0.000 0.500 0.000

=====

No. 13
-- stop --

Tl Se La S